### Request
Could you write out the entries further below from the line with "4.585" to the end without altering anything?

### Excerpt
-- begin --
Entry 1:
C38H49NO4PS2Si3Yb | ωB97M-V with the def2-TZVPD basis set

Results
- E: -4998.2974 Eh
- HOMO energy (spin up / spin down): -7.23 / -7.24 eV
- Gap between HOMO and LUMO (spin up / spin down): 7.0 / 6.7 eV
- ⟨S²⟩: 0.751
- 2S+1: 2
- E_LUMO (spin up / spin down): -0.280 / -0.567 eV

Each line ends with the Löwdin charge.
Element x y z (Å)
Yb: 0.248 -0.229 -0.690  1.593
C: -1.842 2.266 0.692  -0.026
C: -2.258 1.026 1.404  -0.340
C: -3.370 1.053 2.266  -0.029
C: -3.788 -0.100 2.877  -0.002
C: -3.104 -1.327 2.625  -0.173
C: -3.519 -2.521 3.250  -0.055
C: -2.842 -3.700 2.968  -0.080
C: -1.750 -3.682 2.112  -0.151
C: -1.238 -2.524 1.517  -0.676
S: 0.141 -2.824 0.579  0.604
C: -1.962 -1.296 1.739  -0.237
N: -1.552 -0.099 1.205  0.024
H: -1.858 3.140 1.354  0.095
H: -2.508 2.505 -0.147  0.087
H: -0.819 2.162 0.303  0.039
H: -3.868 2.018 2.442  0.124
H: -4.636 -0.054 3.587  0.129
H: -4.387 -2.479 3.911  0.109
H: -3.149 -4.654 3.438  0.115
H: -1.219 -4.615 1.906  0.094
C: -3.861 -0.359 -1.196  -0.116
O: -2.539 -0.111 -1.656  -0.358
Si: -2.032 0.299 -3.198  0.302
C: -2.298 2.192 -3.209  -0.152
C: -3.235 -0.530 -4.442  -0.152
C: -0.266 -0.294 -3.267  -0.549
Si: 0.880 0.887 -4.149  0.386
C: 0.315 1.287 -5.951  -0.194
C: 2.612 0.173 -4.515  -0.177
C: 1.133 2.580 -3.282  -0.190
Si: -0.050 -2.138 -3.550  0.352
C: 1.591 -2.917 -2.975  -0.202
C: -0.181 -2.598 -5.384  -0.195
C: -1.385 -3.206 -2.669  -0.202
H: -4.391 0.567 -0.981  0.084
H: -3.837 -1.001 -0.307  0.083
H: -4.460 -0.901 -1.935  0.083
H: -3.313 2.380 -2.847  0.027
H: -2.247 2.621 -4.223  0.034
H: -1.574 2.719 -2.571  0.007
H: -4.202 -0.026 -4.430  0.024
H: -3.412 -1.597 -4.241  0.026
H: -2.906 -0.437 -5.483  0.029
H: 0.347 0.376 -6.594  0.032
H: 1.003 1.993 -6.437  0.022
H: -0.697 1.721 -6.039  0.015
H: 2.613 -0.890 -4.828  0.026
H: 3.285 0.257 -3.653  0.004
H: 3.012 0.788 -5.332  0.032
H: 0.883 3.363 -4.021  0.035
H: 2.194 2.740 -3.020  0.027
H: 0.531 2.743 -2.372  -0.007
H: 1.989 -3.614 -3.748  0.042
H: 1.434 -3.517 -2.041  0.010
H: 2.386 -2.183 -2.762  0.001
H: 0.691 -2.248 -5.968  0.024
H: -1.092 -2.162 -5.852  0.024
H: -0.241 -3.705 -5.484  0.037
H: -1.753 -2.729 -1.758  -0.019
H: -0.961 -4.172 -2.327  0.034
H: -2.261 -3.386 -3.318  0.024
O: 4.020 1.183 -1.507  -0.278
S: 2.998 0.701 -0.591  0.520
O: 1.778 1.556 -0.434  -0.488
O: 2.465 -0.665 -0.849  -0.445
C: 3.801 0.527 1.021  -0.241
C: 5.184 0.429 1.021  -0.042
C: 5.846 0.173 2.224  -0.058
C: 5.141 0.070 3.412  -0.056
C: 3.755 0.189 3.403  -0.081
C: 3.082 0.421 2.215  -0.338
P: 1.301 0.635 2.300  1.074
C: 1.162 2.347 2.887  -0.330
C: 1.050 3.439 2.002  -0.086
C: 1.124 4.724 2.524  -0.084
C: 1.227 4.936 3.882  -0.083
C: 1.329 3.846 4.756  -0.073
C: 1.311 2.558 4.259  -0.107
C: 0.749 -0.484 3.630  -0.382
C: 1.266 -1.771 3.699  -0.137
C: 0.765 -2.691 4.585  -0.080
C: -0.257 -2.341 5.466  -0.080
C: -0.791 -1.063 5.387  -0.085
C: -0.329 -0.144 4.453  -0.113
H: 5.682 0.570 0.070  0.113
H: 6.933 0.058 2.211  0.114
H: 5.669 -0.090 4.358  0.114
H: 3.135 0.120 4.307  0.111
H: 0.936 3.265 0.943  0.075
H: 1.063 5.573 1.842  0.111
H: 1.203 5.963 4.261  0.109
H: 1.432 4.013 5.832  0.109
H: 1.390 1.718 4.957  0.103
H: 2.049 -2.075 2.997  0.106
H: 1.188 -3.714 4.608  0.122
H: -0.620 -3.082 6.187  0.110
H: -1.629 -0.740 6.021  0.112
H: -0.833 0.817 4.336  0.109

***

Entry 2:
C38H50BN8S | ωB97M-V with the def2-TZVPD basis set

Results
- E: -2339.0438 Eh
- HOMO energy: -3.71 eV
- Net charge: -1
- Gap between HOMO and LUMO: 5.7 eV
- Energy relative to the best compared isomer or geometry (same formula, charge and spin): 26.0 kcal/mol
- E_LUMO: 2.038 eV

Each line ends with the Löwdin charge.
Element x y z (Å)
C: 1.879 -1.382 5.120  -0.146
C: 1.630 0.100 4.659  -0.229
C: 1.215 0.188 3.108  -0.250
N: 0.844 -1.162 2.658  -0.042
B: -0.646 -1.306 2.324  -0.692
C: -0.846 -2.874 1.759  -0.147
C: -0.326 -3.928 2.755  -0.292
N: 0.868 -4.403 2.791  0.036
C: -1.624 -1.056 3.650  -0.188
C: -3.135 -0.888 3.287  -0.287
C: -3.960 -2.211 3.217  -0.535
-- stop --

### Completed
C: 0.765 -2.691 4.585  -0.080
C: -0.257 -2.341 5.466  -0.080
C: -0.791 -1.063 5.387  -0.085
C: -0.329 -0.144 4.453  -0.113
H: 5.682 0.570 0.070  0.113
H: 6.933 0.058 2.211  0.114
H: 5.669 -0.090 4.358  0.114
H: 3.135 0.120 4.307  0.111
H: 0.936 3.265 0.943  0.075
H: 1.063 5.573 1.842  0.111
H: 1.203 5.963 4.261  0.109
H: 1.432 4.013 5.832  0.109
H: 1.390 1.718 4.957  0.103
H: 2.049 -2.075 2.997  0.106
H: 1.188 -3.714 4.608  0.122
H: -0.620 -3.082 6.187  0.110
H: -1.629 -0.740 6.021  0.112
H: -0.833 0.817 4.336  0.109

***

Entry 2:
C38H50BN8S | ωB97M-V with the def2-TZVPD basis set

Results
- E: -2339.0438 Eh
- HOMO energy: -3.71 eV
- Net charge: -1
- Gap between HOMO and LUMO: 5.7 eV
- Energy relative to the best compared isomer or geometry (same formula, charge and spin): 26.0 kcal/mol
- E_LUMO: 2.038 eV

Each line ends with the Löwdin charge.
Element x y z (Å)
C: 1.879 -1.382 5.120  -0.146
C: 1.630 0.100 4.659  -0.229
C: 1.215 0.188 3.108  -0.250
N: 0.844 -1.162 2.658  -0.042
B: -0.646 -1.306 2.324  -0.692
C: -0.846 -2.874 1.759  -0.147
C: -0.326 -3.928 2.755  -0.292
N: 0.868 -4.403 2.791  0.036
C: -1.624 -1.056 3.650  -0.188
C: -3.135 -0.888 3.287  -0.287
C: -3.960 -2.211 3.217  -0.535